### Entries
'''
Compound: SiSb2OsI
Source: Alexandria
Functional: PBE
Structure: optimized geometry

Cell lengths 5.022, 5.022, 5.118 Å; angles 90.00, 90.00, 90.00 degrees
Space group P4/mmm (No. 123)
Inequivalent atoms, fractional coordinates:
Si (0.000, 0.000, 0.000)
Sb (0.000, 0.500, 0.000)
Os (0.500, 0.500, 0.500)
I (0.000, 0.000, 0.500)

Summary:
Fermi-level density of states, states/eV/f.u.: 3.58
Spin magnetization, μB per formula unit: 0.0
Energy relative to the elements, uncorrected, eV per formula unit: 8.22

=====

Compound: SiSbOsI2
Source: Alexandria
Functional: PBE
Structure: optimized geometry

Cell lengths 5.499, 5.499, 5.022 Å; angles 90.00, 90.00, 90.00 degrees
Space group P4/mmm (No. 123)
Inequivalent atoms, fractional coordinates:
Si (0.000, 0.000, 0.000)
Sb (0.500, 0.500, 0.000)
Os (0.500, 0.500, 0.500)
I (0.000, 0.500, 0.500)

Summary:
Fermi-level density of states, states/eV/f.u.: 4.62
Spin magnetization, μB per formula unit: 0.7
Energy relative to the elements, uncorrected, eV per formula unit: 5.38

=====

Compound: SiSb2OsI
Source: Alexandria
Functional: PBE
Structure: optimized geometry

Cell lengths 5.349, 5.349, 4.613 Å; angles 90.00, 90.00, 90.00 degrees
Space group P4/mmm (No. 123)
Inequivalent atoms, fractional coordinates:
Si (0.000, 0.000, 0.000)
Sb (0.000, 0.500, 0.500)
Os (0.000, 0.000, 0.500)
I (0.500, 0.500, 0.000)

Summary:
Fermi-level density of states, states/eV/f.u.: 7.56
Spin magnetization, μB per formula unit: 0.0
Energy relative to the elements, uncorrected, eV per formula unit: 2.28

=====

Compound: SiSb2OsI
Source: Alexandria
Functional: PBE
Structure: optimized geometry

Cell lengths 5.037, 5.037, 5.747 Å; angles 90.00, 90.00, 90.00 degrees
Space group P4/mmm (No. 123)
Inequivalent atoms, fractional coordinates:
Si (0.000, 0.000, 0.000)
Sb (0.000, 0.500, 0.500)
Os (0.500, 0.500, 0.500)
I (0.500, 0.500, 0.000)

Summary:
Fermi-level density of states, states/eV/f.u.: 4.15
Spin magnetization, μB per formula unit: 0.0
Energy relative to the elements, uncorrected, eV per formula unit: 4.94

* * * * *

No. 1
Below is an optimized crystal structure of Nb2Ge2O7, with properties calculated at the GGA-PBEsol level.

a b c (Å): 13.2832 13.2832 5.6906
angles (deg): 90.00 90.00 163.02
Element x y z (fractional)
1 Nb 0.0561 0.9439 0.5000
2 Nb 0.1625 0.8375 0.9761
3 Nb 0.8375 0.1625 0.4761
4 Nb 0.9439 0.0561 0.0000
5 Ge 0.2866 0.7134 0.9224
6 Ge 0.4336 0.5664 0.5594
7 Ge 0.5664 0.4336 0.0594
8 Ge 0.7134 0.2866 0.4224
9 O 0.0071 0.9929 0.7310
10 O 0.0927 0.9073 0.1579
11 O 0.1153 0.8847 0.6813
12 O 0.2033 0.7967 0.2533
13 O 0.2224 0.7776 0.7784
14 O 0.3512 0.6488 0.5062
15 O 0.4427 0.5573 0.9087
16 O 0.5573 0.4427 0.4087
17 O 0.6488 0.3512 0.0062
18 O 0.7776 0.2224 0.2784
19 O 0.7967 0.2033 0.7533
20 O 0.8847 0.1153 0.1813
21 O 0.9073 0.0927 0.6579
22 O 0.9929 0.0071 0.2310

- Magnetization: 0.000 μB per atom
- VASP energy: -89.81 eV/f.u.
- Formation energy without anion corrections: -1.959 eV per atom

---

No. 2
Below is an optimized crystal structure of NbGeP2, with properties calculated at the GGA-PBEsol level.

a b c (Å): 5.7361 5.7361 10.2431
angles (deg): 90.00 90.00 90.00
Element x y z (fractional)
1 Nb 0.0000 0.0000 0.0000
2 Nb 0.0000 0.5000 0.2500
3 Nb 0.5000 0.0000 0.7500
4 Nb 0.5000 0.5000 0.5000
5 Ge 0.0000 0.0000 0.5000
6 Ge 0.0000 0.5000 0.7500
7 Ge 0.5000 0.0000 0.2500
8 Ge 0.5000 0.5000 0.0000
9 P 0.2425 0.7500 0.6250
10 P 0.2500 0.2425 0.3750
11 P 0.2500 0.2575 0.8750
12 P 0.2575 0.7500 0.1250
13 P 0.7425 0.2500 0.1250
14 P 0.7500 0.7425 0.8750
15 P 0.7500 0.7575 0.3750
16 P 0.7575 0.2500 0.6250

- Magnetization: 0.000 μB per atom
- VASP energy: -27.02 eV/f.u.
- ΔH_f (0 K): 81.3 meV/atom

---

| no. | calculated volume (Å³/cell) |
| --- | --- |
| 1 | 293 |
| 2 | 337 |
'''
### Exercise
Next, echo every line further above that contains the word "corrections".
### Outcome
- Formation energy without anion corrections: -1.959 eV per atom